Matthew 13:13-14
Context13:13 For this reason I speak to them in parables: Although they see they do not see, and although they hear they do not hear nor do they understand. 13:14 And concerning them the prophecy of Isaiah is fulfilled that says:
‘You will listen carefully 1 yet will never understand,
you will look closely 2 yet will never comprehend.
John 16:25
Context16:25 “I have told you these things in obscure figures of speech; 3 a time 4 is coming when I will no longer speak to you in obscure figures, but will tell you 5 plainly 6 about the Father.
Acts 17:18
What comes next are crystal structures, not part of the entry:
........
Material: VH17C4S4O20F12
Method: DFT, PBE+U
State: optimized geometry

The structure in POSCAR format:
```
VH17C4S4O20F12
1.0
0.9696 -8.8766 1.1157
7.8454 1.0506 4.3246
-7.5243 2.2724 6.0817
V H C S O F
1 17 4 4 20 12
direct
0.0000 0.0000 0.0000 V
0.1860 0.2458 0.1864 H
0.8140 0.7542 0.8136 H
0.9868 0.6847 0.8407 H
0.0132 0.3153 0.1593 H
0.1768 0.1125 0.8653 H
0.8232 0.8875 0.1347 H
0.7660 0.0632 0.1469 H
0.2340 0.9368 0.8531 H
0.8769 0.1755 0.8338 H
0.1231 0.8245 0.1662 H
0.7359 0.0607 0.8337 H
0.2641 0.9393 0.1663 H
0.5000 0.5000 0.0000 H
0.5247 0.7157 0.1090 H
0.4753 0.2843 0.8910 H
0.6485 0.3476 0.9808 H
0.3515 0.6524 0.0192 H
0.4267 0.7859 0.5460 C
0.5733 0.2141 0.4540 C
0.0765 0.2972 0.5766 C
0.9235 0.7028 0.4234 C
0.4918 0.1563 0.2516 S
0.5082 0.8437 0.7484 S
0.0858 0.3630 0.7788 S
0.9142 0.6370 0.2212 S
0.9263 0.7811 0.8550 O
0.0737 0.2189 0.1450 O
0.1556 0.0141 0.8842 O
0.8444 0.9859 0.1158 O
0.8443 0.1044 0.8811 O
0.1557 0.8956 0.1189 O
0.6308 0.7356 0.7638 O
0.3692 0.2644 0.2362 O
0.5607 0.0095 0.7908 O
0.4393 0.9905 0.2092 O
0.9355 0.3141 0.7861 O
0.0645 0.6859 0.2139 O
0.3791 0.8216 0.8060 O
0.6209 0.1784 0.1940 O
0.8838 0.4666 0.1685 O
0.1162 0.5334 0.8315 O
0.7865 0.7227 0.1641 O
0.2135 0.2773 0.8359 O
0.5398 0.3664 0.9737 O
0.4602 0.6336 0.0263 O
0.6969 0.1288 0.4804 F
0.3031 0.8712 0.5196 F
0.6161 0.3687 0.5100 F
0.3839 0.6313 0.4900 F
0.4691 0.1864 0.5227 F
0.5309 0.8136 0.4773 F
0.9511 0.3511 0.5064 F
0.0489 0.6489 0.4936 F
0.0694 0.1379 0.5215 F
0.9306 0.8621 0.4785 F
0.7981 0.6485 0.4478 F
0.2019 0.3515 0.5522 F
```

E_tot   -0.3983 Ry per atom
Crystal system   triclinic
Theoretical density   1783 kg/m3
Energy above the lowest structure with this stoichiometry   0.009 eV per atom
DFT formation energy   -155.0 kJ/mol of atoms


Material: VH4C4O6F
Method: DFT, PBE+U
State: optimized geometry

The structure in POSCAR format:
```
VH4C4O6F
1.0
-2.4764 -0.8295 -2.9802
2.4142 -7.3596 1.8380
-8.6291 -0.9723 7.4411
V H C O F
2 8 8 12 2
direct
0.5000 0.0000 0.0000 V
0.0000 0.5000 0.5000 V
0.3513 0.9842 0.2286 H
0.6487 0.0158 0.7714 H
0.1487 0.5158 0.7286 H
0.8513 0.4842 0.2714 H
0.5518 0.8183 0.1941 H
0.4482 0.1817 0.8059 H
0.9482 0.6817 0.6941 H
0.0518 0.3183 0.3059 H
0.0411 0.8820 0.4716 C
0.9589 0.1180 0.5284 C
0.4589 0.6180 0.9716 C
0.5411 0.3820 0.0284 C
0.5864 0.5530 0.0809 C
0.4136 0.4470 0.9191 C
0.9136 0.9470 0.5809 C
0.0864 0.0530 0.4191 C
0.4591 0.9202 0.1665 O
0.5409 0.0798 0.8335 O
0.0409 0.5798 0.6665 O
0.9591 0.4202 0.3335 O
0.0973 0.7409 0.4331 O
0.9027 0.2591 0.5669 O
0.4027 0.7591 0.9331 O
0.5973 0.2409 0.0669 O
0.6901 0.6152 0.1786 O
0.3099 0.3848 0.8214 O
0.8099 0.8848 0.6786 O
0.1901 0.1152 0.3214 O
0.0000 0.0000 0.0000 F
0.5000 0.5000 0.5000 F
```

E_tot   -0.4900 Ry per atom
Crystal system   monoclinic
Theoretical density   2037 kg/m3
DFT formation energy   -131.3 kJ/mol of atoms


Material: K3WC4N4OF
Method: DFT, PBE+U
State: optimized geometry

The structure in POSCAR format:
```
K3WC4N4OF
1.0
........
Context17:18 Also some of the Epicurean 7 and Stoic 8 philosophers were conversing 9 with him, and some were asking, 10 “What does this foolish babbler 11 want to say?” Others said, “He seems to be a proclaimer of foreign gods.” 12 (They said this because he was proclaiming the good news about Jesus and the resurrection.) 13

**The text is interrupted by data records**
........
Entry 1:
Rb4Fe2S5: relaxed, r²SCAN.

It has space group P-1 (No. 2), with a = 7.508 Å, b = 8.463 Å, c = 10.374 Å, α = 77.81°, β = 84.29° and γ = 80.41°. The asymmetric unit holds Rb at (0.057, 0.109, 0.257), Rb at (0.209, 0.577, 0.369), Rb at (0.409, 0.787, 0.987), Rb at (0.422, 0.830, 0.587), Fe at (0.089, 0.414, 0.907), Fe at (0.269, 0.235, 0.722), S at (0.089, 0.154, 0.905), S at (0.155, 0.194, 0.544), S at (0.196, 0.455, 0.088), S at (0.259, 0.503, 0.728) and S at (0.453, 0.903, 0.259).

The calculation puts the total magnetization at 13.99 Bohr magnetons per cell. The energy relative to the elements comes out at -1.03 eV per atom. The energy is -12.371 eV per atom.

***

Entry 2:
FeRe3: relaxed, r²SCAN.

It has space group P6_3/mmc (No. 194), with a = 5.4043 Å, b = 5.4043 Å, c = 4.4042 Å, α = 90.00°, β = 90.00° and γ = 120.00°. The asymmetric unit holds Fe at (0.3333, 0.6667, 0.2500) and Re at (0.1670, 0.3339, 0.7500).

The calculation puts the total magnetization at 3.33 Bohr magnetons per cell. The energy relative to the elements comes out at 0.08 eV per atom. The energy is -42.834 eV per atom.

***

Entry 3:
Fe2Re3: relaxed, r²SCAN.

It has space group P4_132 (No. 213), with a = 6.430 Å, b = 6.430 Å, c = 6.430 Å, α = 90.00°, β = 90.00° and γ = 90.00°. The asymmetric unit holds Fe at (0.061, 0.061, 0.061) and Re at (0.051, 0.875, 0.699).

As for the offset from the most stable computed form: 0.0 meV per atom. The calculation puts the total magnetization at 15.37 Bohr magnetons per cell. The energy relative to the elements comes out at 0.10 eV per atom. The energy is -37.110 eV per atom.

***

Entry 4:
Fe2Re3: relaxed, r²SCAN.

It has space group C222_1 (No. 20), with a = 8.884 Å, b = 9.316 Å, c = 6.472 Å, α = 90.00°, β = 90.00° and γ = 90.00°. The asymmetric unit holds Fe at (0.127, 0.186, 0.183), Fe at (0.186, 0.379, 0.932), Re at (0.000, 0.447, 0.250), Re at (0.050, 0.000, 0.500), Re at (0.083, 0.284, 0.572) and Re at (0.208, 0.095, 0.820).

As for the offset from the most stable computed form: 11.8 meV per atom. The calculation puts the total magnetization at 0.00 Bohr magnetons per cell. The energy relative to the elements comes out at 0.11 eV per atom. The energy is -37.098 eV per atom.

***

Entry 5:
FeRh: relaxed, r²SCAN.

It has space group Pm-3m (No. 221), with a = 2.992 Å, b = 2.992 Å, c = 2.992 Å, α = 90.00°, β = 90.00° and γ = 90.00°. The asymmetric unit holds Fe at (0.000, 0.000, 0.000) and Rh at (0.500, 0.500, 0.500).

The calculation puts the total magnetization at 4.37 Bohr magnetons per cell. The energy relative to the elements comes out at -0.23 eV per atom. The energy is -19.507 eV per atom.

***

Entry 6:
Fe3Rh: relaxed, r²SCAN.

It has space group Fm-3m (No. 225), with a = 5.861 Å, b = 5.861 Å, c = 5.861 Å, α = 90.00°, β = 90.00° and γ = 90.00°. The asymmetric unit holds Fe at (0.000, 0.000, 0.000), Fe at (0.250, 0.250, 0.250) and Rh at (0.000, 0.000, 0.500).
........
**End of the data records**
[13:14] 1 tn Grk “with hearing,” a cognate dative that intensifies the action of the main verb “you will listen” (ExSyn 168-69).
[13:14] 2 tn Grk “look by looking.” The participle is redundant, functioning to intensify the force of the main verb.
[16:25] 1 tn Or “in parables”; or “in metaphors.” There is some difficulty in defining παροιμίαις (paroimiai") precisely: A translation like “parables” does not convey accurately the meaning. BDAG 779-80 s.v. παροιμία suggests in general “proverb, saw, maxim,” but for Johannine usage “veiled saying, figure of speech, in which esp. lofty ideas are concealed.” In the preceding context of the Farewell Discourse, Jesus has certainly used obscure language and imagery at times: John 13:8-11; 13:16; 15:1-17; and 16:21 could all be given as examples. In the LXX this word is used to translate the Hebrew mashal which covers a wide range of figurative speech, often containing obscure or enigmatic elements.
[17:18] 1 sn An Epicurean was a follower of the philosophy of Epicurus, who founded a school in Athens about 300
[17:18] 2 sn A Stoic was a follower of the philosophy founded by Zeno (342-270
[17:18] 3 tn BDAG 956 s.v. συμβάλλω 1 has “converse, confer” here.
[17:18] 5 tn Or “ignorant show-off.” The traditional English translation of σπερμολόγος (spermologo") is given in L&N 33.381 as “foolish babbler.” However, an alternate view is presented in L&N 27.19, “(a figurative extension of meaning of a term based on the practice of birds in picking up seeds) one who acquires bits and pieces of relatively extraneous information and proceeds to pass them off with pretense and show – ‘ignorant show-off, charlatan.’” A similar view is given in BDAG 937 s.v. σπερμολόγος: “in pejorative imagery of persons whose communication lacks sophistication and seems to pick up scraps of information here and there scrapmonger, scavenger…Engl. synonyms include ‘gossip’, ‘babbler’, chatterer’; but these terms miss the imagery of unsystematic gathering.”
[17:18] 6 tn The meaning of this phrase is not clear. Literally it reads “strange deities” (see BDAG 210 s.v. δαιμόνιον 1). The note of not being customary is important. In the ancient world what was new was suspicious. The plural δαιμονίων (daimoniwn, “deities”) shows the audience grappling with Paul’s teaching that God was working through Jesus.